To do >
Please count the lines below that contain the word "most" and give the number alone.

Excerpt >
........
Record 1
The following is a PBE-GGA calculation of a geometry-optimized Y2MnBr structure, from the Alexandria database.

Summary:
Magnetization (Bohr magnetons per cell): 2.085
ΔE_f (raw) (meV per atom): -319
Energy above the most stable polymorph in this dataset (meV per atom): 98.5

abc: 3.862 3.862 8.474
angles: 77.74 77.74 56.56
Last column: magnetic moment on the atom in μB.
Element x y z (fractional)
Mn (0.250, 0.250, 0.250)  2.73
Y (0.482, 0.482, 0.468)  -0.21
Y (0.018, 0.018, 0.032)  -0.21
Br (0.750, 0.750, 0.750)  0.00

Record 2
The following is a PBE-GGA calculation of a geometry-optimized CeGaCo2C structure, from the Alexandria database.

Summary:
Magnetization (Bohr magnetons per cell): 0.065
Energy of formation (eV per formula unit): -1.65

abc: 3.902 5.744 6.824
angles: 90.00 90.00 109.86
Element x y z (fractional)
Co (0.159, 0.318, 0.943)
Co (0.841, 0.682, 0.443)
Co (0.841, 0.682, 0.057)
Co (0.159, 0.318, 0.557)
Ga (0.722, 0.444, 0.750)
Ga (0.278, 0.556, 0.250)
C (0.000, 0.000, 0.500)
C (0.000, 0.000, 0.000)
Ce (0.560, 0.120, 0.250)
Ce (0.440, 0.880, 0.750)

Record 3
The following is a PBE-GGA calculation of a geometry-optimized HfSi2Ir structure, from the Alexandria database.

Summary:
Magnetization (Bohr magnetons per cell): 0.000
ΔE_f (raw) (meV per atom): -261

abc: 4.023 4.023 9.138
angles: 77.28 77.28 90.00
Element x y z (fractional)
Ir (0.000, 0.000, 0.000)
Ir (0.750, 0.250, 0.500)
Hf (0.500, 0.500, 0.000)
Hf (0.250, 0.750, 0.500)
Si (0.375, 0.305, 0.750)
Si (0.875, 0.945, 0.750)
Si (0.055, 0.625, 0.250)
Si (0.695, 0.125, 0.250)

Record 4
The following is a PBE-GGA calculation of a geometry-optimized Pr3YSn2 structure, from the Alexandria database.

Summary:
Magnetization (Bohr magnetons per cell): 0.508
Energy of formation (eV per formula unit): -3.11

abc: 4.640 10.465 9.992
angles: 124.60 90.00 102.81
Element x y z (fractional)
Sn (0.751, 0.502, 0.227)
Sn (0.249, 0.498, 0.773)
Sn (0.497, 0.995, 0.850)
Sn (0.503, 0.005, 0.150)
Pr (0.349, 0.697, 0.178)
Pr (0.690, 0.381, 0.490)
Pr (0.310, 0.619, 0.510)
Pr (0.051, 0.102, 0.414)
Pr (0.949, 0.898, 0.586)
Pr (0.651, 0.303, 0.822)
Y (0.887, 0.773, 0.892)
Y (0.113, 0.227, 0.108)

Record 5
The following is a PBE-GGA calculation of a geometry-optimized NdDy12Er5 structure, from the Alexandria database.

Summary:
Magnetization (Bohr magnetons per cell): 0.000
Energy of formation (eV per formula unit): 0.36

abc: 15.003 10.617 5.001
angles: 89.99 89.99 45.04
Element x y z (fractional)
Dy (0.334, 0.000, 0.000)
Dy (0.500, 0.333, 0.500)
Dy (0.666, 0.000, 0.000)
Dy (0.832, 0.000, 0.500)
Dy (0.168, 0.333, 0.500)
Dy (0.335, 0.665, 0.000)
Dy (0.168, 0.000, 0.500)
Dy (0.500, 0.667, 0.500)
Dy (0.000, 0.665, 0.000)
Dy (0.000, 0.335, 0.000)
Dy (0.832, 0.667, 0.500)
Dy (0.665, 0.335, 0.000)
Nd (0.000, 0.000, 0.000)
Er (0.333, 0.333, 0.000)
Er (0.500, 0.000, 0.500)
Er (0.168, 0.664, 0.500)
Er (0.667, 0.667, 0.000)
Er (0.832, 0.336, 0.500)

Record 6
The following is a PBE-GGA calculation of a geometry-optimized TeW2Cl structure, from the Alexandria database.

Summary:
Magnetization (Bohr magnetons per cell): 0.666
ΔE_f (raw) (meV per atom): 1170
Energy above the most stable polymorph in this dataset (meV per atom): 1084.2

abc: 4.721 4.721 4.721
angles: 60.00 60.00 60.00
Last column: magnetic moment on the atom in μB.
Element x y z (fractional)
Cl (0.500, 0.500, 0.500)  0.09
W (0.250, 0.250, 0.250)  -0.14
W (0.000, 0.000, 0.000)  0.56
Te (0.750, 0.750, 0.750)  0.01

Record 7
The following is a PBE-GGA calculation of a geometry-optimized DyErTm2 structure, from the Alexandria database.

Summary:
Magnetization (Bohr magnetons per cell): 0.000
Energy above the most stable polymorph in this dataset (meV per atom): 22.5
Energy of formation (eV per formula unit): 0.10

abc: 4.945 4.951 4.951
angles: 90.00 90.00 90.00
Element x y z (fractional)
Er (0.500, 0.000, 0.000)
Tm (0.000, 0.000, 0.500)
Tm (0.000, 0.500, 0.000)
Dy (0.500, 0.500, 0.500)

Record 8
........

Solution >
3